The science behind Spaced Repetition

In order to drill new information or knowledge into your brain, you do not need to cram for hours on end the night before a test or listen intently to a daylong training course. As a matter of fact, these approaches to learning will probably have the opposite effect.
Along with the tedious and repetitive nature of reading a textbook or listening to a classroom teacher, traditional techniques used for learning are extremely ineffective too. Basic neuroscience and psychology research says that they are misaligned with how our brains actually absorb new information or knowledge and do not help with retention or recollection.
Instead, studies into the subject suggest that with techniques such as Spaced Repetition, you are much more likely to embed new information or knowledge into your long-term memory.
But what is the science behind Spaced Repetition? And how can you use Spaced Repetition for the purposes of information and knowledge retention and recollection?
The basics of Spaced Repetition
Spaced Repetition can trace its roots all the way back to 1885, when German psychologist Hermann Ebbinghaus published an experimental study about memory called Memory: A contribution to experimental psychology. The main aspect of his work was the forgetting curve, which refers to the decline of being able to remember pieces of information over time when there is no attempt to retain them.
However, Spaced Repetition attempts to mitigate the effects of the forgetting curve by increasing the intervals of time between subsequent reviews of previously learned material. Research has shown that repeating something twenty times over the course of one day is less effective than repeating something ten times over the course of a week.
This is where the scientific part comes in. The human brain needs time to form the synaptic structure and connections surrounding new information before it is consolidated into long-term memory.
Learning from the forgetting curve
____________
Entry 1:
CaBe, optimized geometry, DFT PBE; calculated volume = 23.420 Å³/atom; energy of formation from the pure elements = 0.3342 eV per atom; size of the total moment = 0.0 μB per formula unit
1.0
11.9290 0.0000 0.0000
0.0000 3.5664 0.0000
0.0000 0.0000 6.6061
Ca Be
6 6
Cartesian
3.3765 0.0000 4.7850
8.5525 0.0000 4.7850
9.3410 1.7832 1.4820
2.5880 1.7832 1.4820
0.0000 0.0000 6.0194
5.9645 1.7832 2.7164
4.9043 0.0000 0.6247
7.0247 0.0000 0.6247
10.8688 1.7832 3.9277
1.0602 1.7832 3.9277
0.0000 0.0000 2.9927
5.9645 1.7832 6.2958



Entry 2:
Ca3Be, optimized geometry, DFT PBE; calculated volume = 34.192 Å³/atom; energy of formation from the pure elements = 0.3361 eV per atom; size of the total moment = 0.0 μB per formula unit
1.0
-2.1477 -2.6608 1.8565
3.8680 -0.3896 -0.1609
0.9161 5.4388 8.8545
Be Ca
1 3
Cartesian
0.0000 0.0000 0.0000
0.4580 2.7194 4.4273
0.0280 -0.8913 2.8323
0.6031 2.5226 8.3903



Entry 3:
CaBe, optimized geometry, DFT PBE; calculated volume = 32.432 Å³/atom; energy of formation from the pure elements = 1.0066 eV per atom; size of the total moment = 0.0 μB per formula unit
1.0
5.0223 0.0000 0.0000
-2.5112 4.3494 0.0000
0.0000 0.0000 5.9388
Ca Be
2 2
Cartesian
0.0000 2.8996 4.4541
2.5112 1.4498 1.4847
0.0000 2.8996 1.4847
2.5112 1.4498 4.4541



Entry 4:
CaBe, optimized geometry, DFT PBE; calculated volume = 34.996 Å³/atom; energy of formation from the pure elements = 1.2174 eV per atom; size of the total moment = 0.0 μB per formula unit
1.0
-6.3480 -1.2464 -0.9723
0.1496 -4.4792 4.7656
-1.5737 4.6021 4.3749
Ca Be
4 4
Cartesian
0.0000 0.0000 0.0000
-0.7121 0.0615 4.5703
-3.9609 1.6778 1.7013
-3.0992 -2.8628 1.8966
-1.9430 -0.2809 2.0420
-2.6551 -0.2194 6.6123
-5.9039 1.3970 3.7434
-5.0423 -3.1437 3.9387



Entry 5:
Ca3Be, optimized geometry, DFT PBE; calculated volume = 32.400 Å³/atom; energy of formation from the pure elements = 0.2807 eV per atom; size of the total moment = 0.0 μB per formula unit
1.0
6.8041 0.0029 0.0052
3.1890 6.0105 -0.0052
-4.2267 -4.2860 3.1719
Be Ca
1 3
Cartesian
0.0478 -0.0794 0.0589
5.2626 2.5645 0.3280
4.6560 -0.7324 1.9246
1.6556 1.5537 1.9194



Entry 6:
Ca3Be, optimized geometry, DFT PBE; calculated volume = 34.453 Å³/atom; energy of formation from the pure elements = 0.3157 eV per atom; size of the total moment = 0.0 μB per formula unit
1.0
-1.6458 8.9604 5.5578
-0.2636 6.6220 8.3645
2.2089 8.5307 6.0194
Be Ca
1 3
Cartesian
0.0000 0.0000 0.0000
0.2178 17.5297 14.4972
0.1498 12.0566 9.9708
0.0818 6.5834 5.4445


A plane-wave DFT calculation with PBE was carried out for a relaxed structure of BaBe3Br.

Cell lengths 6.3378, 6.3378, 6.3378 Å; angles 90.00, 90.00, 90.00 degrees
Closest atoms and distances in Å follow each position.
Fractional positions:
1 Be 0.0000 0.0000 0.5000  2 Ba 3.17
2 Ba 0.0000 0.0000 0.0000  6 Be 3.17
3 Be 0.5000 0.0000 0.0000  2 Ba 3.17
4 Be 0.0000 0.5000 0.0000  2 Ba 3.17
5 Br 0.5000 0.5000 0.5000  12 Be 4.48

Summary:
____________
So much for the calculated crystals.
According to Ebbinghaus, the hypothesis of the forgetting curve states that 90 per cent of information or knowledge learned will be forgotten within three days. Every time you recall or review learning materials, you will forget less and less over time too. This means the forgetting curve is exponential and supports transience, one of the seven kinds of memory failures.
For this reason, it is important to review new information or knowledge within the first 24 hours of initial consumption. Learners that do so will then be able to retain approximately 80 per cent of the information or knowledge.
_Materials data, kept here for reference_
+++
An optimized crystal structure of CeTh2Ni, computed with GGA-PBE.

Calculated values
DFT formation energy = -35.4 meV per atom
Space group = R3m
Distance to the lowest polymorph of the same formula = 156 meV per atom

POSCAR file:
```
CeTh2Ni
1.0
-2.379 -0.195 2.792
0.598 -2.346 2.762
4.213 5.739 6.406
Ce Th Ni
1 2 1
direct
0.499 0.499 0.504 Ce
0.066 0.066 0.803 Th
0.268 0.268 0.197 Th
0.668 0.668 0.996 Ni
```
+++
_End of the materials data_
However, there is still a danger of forgetting this information or knowledge, albeit at a slower rate, if you fail to repeatedly recall the material. But another review within 48 hours of the initial learning and you will be able to retain approximately 85 per cent of the information or knowledge.
Review once again within 72 hours of the initial learning and you will retain almost all of the information or knowledge. This demonstrates that after recalling and reviewing learning materials three or more times after initial consumption, the learning curve will be much shallower, meaning the brain forgets at a slower rate.
This is Spaced Repetition in a nutshell. Every time you recall and review learning materials, the information or knowledge will become further ingrained into your long-term memory. Once there, your brain will start consolidating this information or knowledge into separate chunks, which increases your ability to understand the bigger picture and form connections between different concepts.
The importance of reviewing and repetition
Regardless of what you are learning, it is imperative that you undertake an initial review of the material within a day of learning it followed by two or three more reviews over the next few days. Reviewing the material will strengthen the mental pattern of retained information or knowledge and enable it to stay in your memory bank for a long time.
By using Spaced Repetition, separate pieces of information or knowledge will soon become chunks within your brain, making it easier to conceptualise and connect principles together.
This was recently supported by a study from Kramar et al at the University of Southern California, which reported that in order to enhance the connections between regions of the brain devoted to memory, you must repeatedly fire them together.
“Intrinsic variability among individual synapses imposes a repetitive presentation requirement for maximising the percentage of potentiated connections,” notes the study. “We propose that a combination of local diffusion from initially modified spines coupled with much later membrane insertion events dictate that the repetitions be widely spaced.”
How to use Spaced Repetition to your advantage
One of the simplest ways to use Spaced Repetition to your advantage is by creating flashcards organised in a box. Using this video as an example, come up with a schedule for revising the cards in each section of the box.
Once you answer a card correctly, it can be put into a section that you will revisit less frequently in the future. However, if you answer a card incorrectly, it will need to be moved into a section with more frequent visits.
Alternatively, you could take a more 21st century approach and capitalise on solutions such as Wranx. With our specially developed software, which is available on desktop and mobile, we can schedule content according to your progress. Wranx can also optimise your learning experience with other scientifically proven techniques such as gamification.
The science behind Spaced Repetition
Spaced Repetition has been proven by science to help you retain much more information than traditional learning techniques, such as cramming for a test or lengthy classroom sessions.
Despite its immense capabilities, the brain still requires time to absorb learning materials, process this information, consolidate everything you have consumed, and build neural pathways to other related concepts. But through Spaced Repetition, the brain is given the time it needs to embed information or knowledge deep within your long-term memory.